How can we set RapidILL to only accept lending requests from our electronic collections?
Materials data from another source follow:
........
Entry 1:
# Y3MgFe (PBE, relaxed)
data_Y3MgFe
_chemical_formula_sum 'Y6 Mg2 Fe2'
_cell_length_a 3.565
_cell_length_b 8.427
_cell_length_c 9.053
_cell_angle_alpha 87.01
_cell_angle_beta 89.97
_cell_angle_gamma 77.79
_space_group_name_H-M_alt 'P -1'
_space_group_IT_number 2
_space_group_name_Hall '-P 1'
loop_
_atom_site_label
_atom_site_fract_x
_atom_site_fract_y
_atom_site_fract_z
Y1 0.061 0.378 0.238
Y2 0.250 0.999 0.792
Y3 0.400 0.700 0.437
Mg1 0.406 0.686 0.067
Fe1 0.217 0.065 0.447
# - ΔE_f: -25 meV/atom


Entry 2:
# Li3Nd2Cu2 (PBE, relaxed)
data_Li3Nd2Cu2
_chemical_formula_sum 'Li6 Nd4 Cu4'
_cell_length_a 4.266
_cell_length_b 20.630
_cell_length_c 3.737
_cell_angle_alpha 90.00
_cell_angle_beta 90.00
_cell_angle_gamma 90.00
_space_group_name_H-M_alt 'C m m m'
_space_group_IT_number 65
_space_group_name_Hall '-C 2 2'
loop_
_atom_site_label
_atom_site_fract_x
_atom_site_fract_y
_atom_site_fract_z
Li1 0.000 0.000 0.000
Li2 0.000 0.429 0.500
Nd1 0.000 0.171 0.000
Cu1 0.000 0.286 0.500
# - ΔE_f: -56 meV/atom


Entry 3:
# Mn2GeS6 (PBE, relaxed)
data_Mn2GeS6
_chemical_formula_sum 'Mn4 Ge2 S12'
_cell_length_a 5.586
_cell_length_b 5.586
_cell_length_c 10.597
_cell_angle_alpha 90.00
_cell_angle_beta 90.00
_cell_angle_gamma 90.00
_space_group_name_H-M_alt 'P 42/m n m'
_space_group_IT_number 136
_space_group_name_Hall '-P 4n 2n'
loop_
_atom_site_label
_atom_site_fract_x
_atom_site_fract_y
_atom_site_fract_z
Mn1 0.000 0.000 0.166
Ge1 0.000 0.000 0.500
S1 0.186 0.186 0.000
S2 0.195 0.195 0.328
# - Formation energy without anion corrections: -0.233 eV per atom

=====

Entry a
Th3PdRu | PBE-GGA | relaxed

a = 6.8685 Å, b = 6.8685 Å, c = 10.1989 Å
α = 97.66°, β = 97.66°, γ = 33.70°
Fractional coordinates of all 10 atoms:
Th 0.0915 0.0915 0.3784
Th 0.3479 0.3479 0.9189
Th 0.3532 0.3532 0.2893
Th 0.6468 0.6468 0.7107
Th 0.6521 0.6521 0.0811
Th 0.9085 0.9085 0.6216
Pd 0.0478 0.0478 0.8824
Pd 0.9522 0.9522 0.1176
Ru 0.2664 0.2664 0.6136
Ru 0.7336 0.7336 0.3864

Summary:
M_tot: 0.0 μB/f.u.
SG: C2/m (12)
Calculated density: 11.35 g/cm³

***

Entry b
Th3PdRu | PBE-GGA | relaxed

a = 8.2825 Å, b = 3.8905 Å, c = 8.5544 Å
α = 90.00°, β = 111.63°, γ = 90.00°
Fractional coordinates of all 10 atoms:
Th 0.0334 0.2500 0.1741
Th 0.2124 0.7500 0.5705
Th 0.3980 0.7500 0.1240
Th 0.6020 0.2500 0.8760
Th 0.7876 0.2500 0.4295
Th 0.9666 0.7500 0.8259
Pd 0.3984 0.2500 0.3959
Pd 0.6016 0.7500 0.6041
Ru 0.2377 0.2500 0.8415
Ru 0.7623 0.7500 0.1585

Summary:
M_tot: 0.0 μB/f.u.
SG: P2_1/m (11)
Calculated density: 11.71 g/cm³

***

The structure with the least stability is entry a.

***

Entry a
Th4PdRu | PBE-GGA | relaxed

a = 7.2139 Å, b = 7.2139 Å, c = 6.0659 Å
α = 90.00°, β = 90.00°, γ = 90.00°
Fractional coordinates of all 12 atoms:
Th 0.1581 0.3260 0.0000
Th 0.1581 0.6740 0.5000
Th 0.3260 0.1581 0.5000
Th 0.3260 0.8419 0.0000
Th 0.6740 0.1581 0.0000
Th 0.6740 0.8419 0.5000
Th 0.8419 0.3260 0.5000
Th 0.8419 0.6740 0.0000
Pd 0.5000 0.5000 0.2500
Pd 0.5000 0.5000 0.7500
........
So much for the materials data:
With many libraries moving to work from home and not able to supply scans from their physical collection, a new option was developed to set lenders to electronic-resource lending only. This means that you can configure to only receive lending requests for material in your electronic collections (e-articles, e-chapters).
This doesn’t require a holdings update. It is just a simple configuration change on the Rapid side.
If you are working remotely, and can only fill requests from your electronic resources, Please contact us and ask for “electronic resource lending only”.
How can we set our RapidILL lending to be completely offline?
If you would like to schedule your lending to be offline for a specific period of time, you can create a Lending Off event via the RapidILL web page: https://rapid.exlibrisgroup.com/Ill/LendingOff. If you would like to go offline without an end date, Please contact us and we’ll manually shut your lending off and can re-enable as needed.
Can we shut off our RapidR Returnables borrowing and lending independently of RapidILL articles and chapters?
Yes, we can adjust your lending to fit your situation. Articles, chapters and RapidR can all be adjusted independently. Please contact us to make the adjustments.
We would like to continue RapidILL lending, but we are short-staffed and don’t believe we can manage normal lending volume. What are our options?
The Rapid team is able to temporarily reduce or increase your lending volume based on your needs. If you would like to continue lending, but would like a reduced daily volume of requests, please contact us.
How often are you able to add Open Access resources as they become available? With vendors also loosening restrictions, should we work with our tech staff to update our holdings more regularly in addition to open access content that could be added by Rapid?
The Open Access resources available through the RapidILL automated Easy Lending process currently includes around 48 million OA articles. Content is added regularly and as allowed based on current projects and development. We are reviewing this service in relation to current needs.
If you are updating your electronic collections, you are welcome to update your RapidILL holdings to ensure Rapid has an accurate representation of these changes.
How can we subscribe to the RapidILL listserv?
Follow this link: https://exlibrisusers.org/listinfo/rapidill